Testimonials and Experiences
What Our Members Have To Say
Tommy’s Story
I think most people get it wrong… they think “you have to be a bad ass or a fitness monster to go to Ferraiolo Fitness. Tommy goes there because he is fit and in incredible shape.”
That is very wrong. The truth is that I am strong, fit and healthy BECAUSE of Ralph and his trainers… if you want to be a bad ass, be healthy, or if you want to get in incredible shape then it starts by coming to Ferraiolo Fitness and they will help you get there. It really is an investment in yourself… become the “you” that you want to be… don’t stay away because you are not that way now.
I wanted to be tough, I wanted to be fit and strong… so I invested in myself through Ferraiolo Fitness and Ralph and his team brought me there. No one starts that way… but with the right trainers at Ferraiolo Fitness and the right work ethic – you can become what you want!

A “Grand-Thank You” to you and your trainers at Ferraiolo Fitness. Erika and I hiked from the North Rim down to bottom of the Grand Canyon and then back up the South Rim as well as a few side-adventures for 37 miles of hiking & backpacking and more than 10,000 feet in altitude changes in 3 days. We were well prepared, fit and in shape for the awesome experience thanks in large part to you and your staff, the training program you customized to our health and fitness needs, and the intensity of the work outs you encouraged us through.
Bob's Story
It was time. After years of neglect, I was faced with the realization that too much time had passed, that I had not maintained a proper balance with my physical self. My focus was always on family and career, which left little time and energy for personal exercise and well being. Having played football and wrestling in high school, I thought that I knew how to exercise. However, I needed something to instill discipline. My doctor recommended Ralph and I approached this idea with some trepidation. However, from the very first time we met, my experience far exceeded expectations and Ferraiolo Fitness helped me progress toward my goals and change my life. They have an excellent studio and Ferraiolo Fitness not only reshaped my physical and mental self, but also my knowledge base of a true overall program. The experience and results far exceed going to the gym based upon what I thought I knew about exercise.
My wife, Beth and I work out together and we have included our kids, so this experience has reinforced a healthy lifestyle for the entire family. Ferraiolo Fitness runs a great personalized program designed to meet your individual needs and goals. They make exercise fun while elevating your performance.
Kevin's Story
I climbed two big peaks yesterday in the heart of the rocky mountains all why paying homage to the person who changed the way I look at fitness by wearing my Ferraiolo Fitness shirt. Made me think about all you did for me. Hope you are well Ralph. Your business constantly changes lives. Thanks for doing what you do.
As a person in my early 30s it was foolish to think I could continue to workout the same way I did as a 21 year old Division I College Wrestler. I have endured injuries over the years, primarily a chronic back injury, so I’ve had to change my approach to fitness. Ralph has helped me heal/protect those injuries, alleviate pain and gain strength through smart, low impact, total body exercises.
At this point in my life, I feel stronger pound for pound than I did when I was wrestling and running at 21. Ferraiolo Fitness has helped my back, my overall strength and my ability to coach my student athletes with a better understanding of the tools they need to succeed.

Victoria’s Story:
Financial Honcho Redesigned
by Ray Steen
With two hundred people, ten managers and six booming mortgage bank branches under her belt, she had finally reached the pinnacle of her professional career. Victoria Stratman was the president of a major institution. Millennium Bank Mortgage Company reaped the rewards of Stratman’s 16-hour work days and 20 years of banking experience before spitting out a tapped-out career business woman who had gained 30 pounds in a little over four years of service. The stresses had worn her physically and emotionally. “That lifestyle took a toll,” Stratman admitted. “It was a tremendous factor in my gaining weight because I wasn’t able to get away and work out, or do the things I needed to do to take care of myself.”
During her tenure at Millennium, Stratman tried balancing her work life and personal life by exercising with a woman she had met at her local country club. Not long after, the woman moved away. Then Stratman joined a local gym, where she began a new regimen with a fitness trainer, Ralph Ferraiolo. Just when she hit her stride, the routine changed. Like most gyms, constant turnover in instructors and inflexible scheduling left Stratman strained. Now, both her job and her health lacked the comfort and continuity she desperately needed.
In 2005, she made the leap from the penthouse at Millennium to branch manager of a local mortgage company in Herndon, freeing up some of her time. She quickly reinvested it by making a 40-minute commute from her home in Oakton to Leesburg, reuniting with her former fitness trainer with whom she had previous success. Ferraiolo had just launched his own fitness studio in Leesburg. This time, there was no chance she would let her health take a back seat to her career.
Each Saturday, Victoria, mother of two, and her husband John, father of one, drive to Ferraiolo Fitness Studio at 7 a.m., where Ralph prepares them for their custom routine. “I love the studio,” Victoria said. “It’s so comfortable and so beautiful to work in. My husband is my Saturday morning date. That really is our time together. No cell phones, no children, none of that.”
# Between two parts of the piece: quantum chemistry results
-- begin --
one.
Formula: C6H10N2
Source: OMol25
Level of theory: ωB97M-V/def2-TZVPD

Results
* orbital gap: 9.55 eV
* HOMO level: -0.326 Ha
* SMILES: [H]/N=N/C1=C[C@H](C)[C@H]1C

```
18
C6H10N2, DFT ωB97M-V/def2-TZVPD
C -1.59 -0.06 -0.05
C -0.62 -0.90 -0.40
C -0.61 0.96 0.48
C 0.52 -0.05 0.09
C -0.58 2.25 -0.33
C 1.37 -0.61 1.22
N 0.54 -2.78 -1.24
N -0.51 -2.17 -1.42
H -2.66 -0.06 -0.11
H -0.67 1.18 1.54
H 1.16 0.31 -0.72
H -0.65 2.02 -1.40
H 0.36 2.78 -0.16
H -1.41 2.90 -0.06
H 0.75 -0.86 2.08
H 2.11 0.13 1.52
H 1.88 -1.50 0.89
H 0.61 -3.55 -1.93
```

---

two.
Formula: C6H10N2
Source: OMol25
Level of theory: ωB97M-V/def2-TZVPD

Results
* orbital gap: 10.41 eV
* HOMO level: -0.354 Ha
* SMILES: [H]/N=C(/C)[C@H](C#N)CC

```
18
C6H10N2, DFT ωB97M-V/def2-TZVPD
C 2.31 0.07 -0.86
C 0.00 1.13 -1.00
C -0.38 0.09 -2.01
C -0.38 -0.83 1.53
C 1.01 -0.79 0.80
C 1.22 0.52 -0.04
N 3.08 -0.48 -1.54
N -0.39 2.29 -0.95
H -1.33 -0.37 -1.66
H -0.35 0.67 -2.95
H 0.36 -0.72 -2.10
H -0.93 -1.72 1.24
H -0.35 -1.09 2.60
H -0.90 0.00 1.32
H 1.20 -1.62 0.24
H 1.82 -0.83 1.56
H 1.50 1.35 0.60
H -0.15 3.02 -0.16
```

---

three.
Formula: C6H10N2
Source: OMol25
Level of theory: ωB97M-V/def2-TZVPD

Results
* orbital gap: 9.36 eV
* HOMO level: -0.335 Ha

```
18
C6H10N2, DFT ωB97M-V/def2-TZVPD
C 1.06 0.10 -0.84
C 2.38 0.73 -0.46
N 1.13 -1.24 -1.19
C -0.01 0.34 0.48
C -0.02 0.93 1.55
H 0.54 0.67 -1.62
H 1.71 -1.76 -0.53
H 0.14 -1.69 -1.16
H 2.25 1.78 -0.19
H 2.82 0.21 0.38
H 3.07 0.68 -1.31
H -0.09 1.37 2.51
C -2.78 -0.04 0.62
C -1.64 -0.81 0.09
N -1.38 -1.74 -0.59
H -2.72 -0.01 1.71
H -2.74 0.99 0.26
H -3.72 -0.50 0.30
```

---

four.
Formula: C6H10N2
Source: OMol25
Level of theory: ωB97M-V/def2-TZVPD

Results
* orbital gap: 10.12 eV
* HOMO level: -0.336 Ha
* SMILES: c1ccncc1.CN

```
18
C6H10N2, DFT ωB97M-V/def2-TZVPD
C -2.96 -0.42 0.73
C 1.18 1.11 -0.89
C 1.88 1.34 0.30
C 2.57 0.30 0.86
C 2.51 -0.98 0.30
C 1.69 -1.12 -0.85
H -2.46 0.17 -1.19
H -4.08 0.20 -0.88
H -3.79 -0.38 1.37
H -2.67 -1.45 0.53
H -2.14 0.17 1.20
H 0.66 1.88 -1.41
H 1.80 2.30 0.80
H 3.12 0.48 1.74
H 3.16 -1.82 0.61
H 1.56 -2.09 -1.26
N -3.17 0.40 -0.52
N 1.14 -0.08 -1.45
```

---

Winner for stability: four

---

one.
Formula: C4H6N2
Source: OMol25
Level of theory: ωB97M-V/def2-TZVPD

Results
* orbital gap: 9.65 eV
* HOMO level: -0.323 Ha
* SMILES: Cn1ccnc1

```
12
C4H6N2, DFT ωB97M-V/def2-TZVPD
C -1.66 -0.19 -0.12
N -0.24 0.04 -0.01
C 0.76 -0.89 -0.14
C 1.93 -0.21 0.06
N 1.67 1.12 0.30
C 0.37 1.23 0.24
H -1.99 -0.20 -1.16
H -1.92 -1.14 0.35
H -2.20 0.61 0.41
H 0.55 -1.93 -0.36
H 2.93 -0.60 0.07
H -0.20 2.15 0.36
```

---

two.
Formula: C4H6N2
Source: OMol25
Level of theory: ωB97M-V/def2-TZVPD

Results
* orbital gap: 8.25 eV
* HOMO level: -0.311 Ha

```
12
C4H6N2, DFT ωB97M-V/def2-TZVPD
C 0.76 1.37 -0.44
C -0.28 0.38 0.02
C -0.99 -0.46 -0.97
C -0.87 -1.72 -0.35
N -0.18 -1.75 0.81
N 0.20 -0.54 1.05
H 1.13 1.97 0.39
H 1.60 0.85 -0.90
H 0.32 2.03 -1.19
H -1.17 0.89 0.40
H -1.25 -2.67 -0.70
H 0.73 -0.35 1.89
```

---
-- stop --
# Here the piece continues
Ferraiolo Fitness is a private, state-of-the-art studio located in historic downtown Leesburg. Despite the long drive before a grueling workout, the Stratmans enjoy their time together and appreciate the niceties of working with a personal trainer.

Finally, attention to detail has paid off. Since 2006, Victoria has lost 27 pounds, including five inches around her stomach and four inches around her midriff. “I still have five more pounds to go, but my husband already hit his plateau – by three ounces,” Victoria laughed. “He’s lost eight pounds since January and I’ve lost six. We watch what we eat, play golf together and walk. We do as much as we can with the time that we have.”
In addition to her Saturday morning dates, Victoria also travels to Ferraiolo Fitness once a week in the morning and commits herself to 90 sit-ups every other day. Victoria’s youngest daughter is getting married in March and she remains hell-bent on showing off her hard work. “Five years ago my oldest daughter got married and I wore a full, long dress,” Victoria said. “I recently had to work with my seamstress to take it in a bunch and redesign it to a fitted dress. I feel good about that.” Victoria should. Since assuming her redesigned figure, she has twice been recruited by Ann Taylor to model clothing at the Fair Oaks Mall in Virginia. “Like interior design, it’s a hobby of mine that I enjoy,” Victoria said.
When asked if her new busy schedule would eventually supersede her Saturday morning workout date, Victoria replied with a resounding – “Not a chance.”
Fe’s Story
Just wanted to thank you for your support and guidance in my fitness program. While my first motivation in coming to work with you was to lose weight — which I have done — I realize I have gained much more. I am now the fittest I have ever been in my entire life! This gives me so much confidence in so many other arenas of my life, as well as more stamina to weather the tough times.
I have done other weight loss programs where I have exercised on my own, but I have never been able to achieve the results I have with you. I have shaped my body in ways that I did not realize was possible. I am so happy with the way I look now.
I know we have more to go, but I am ecstatic with the gains I have made. I appreciate your commitment to me. I get the sense that for you this is not just “a job”, but that you are committed to my goals. Sometimes I think your more committed than I am, which is good because when I lose focus you bring me right back.
You are what I need in a coach — well-informed, engaged and engaging. You even have me liking getting up early — now that is an achievement 🙂
Working with you is not just about going through the routine. You established a good rapport with me.
This has been a worthwhile investment in myself. A regular routine with you is now a top priority for me.
Jane & John’s Story
About 15 and 25 pounds ago respectively, we began a physical training program under Ralph′s supervision. In our mid-50s and never having worked with a personal trainer before, we were enthusiastic, yet cautious novices.
After just a few sessions, we began to sleep better and sounder. Soon, we both seemed to develop more energy during the day. Within the first two months, pounds began to vanish, clothing began to fit better, and friends began to take notice.
Working with Ralph and several of his trainers, we consistently have been encouraged and assisted in developing and fine tuning healthier lifestyles. We both have noticed how the stress/worries of the day loosen their grip on us during and after our workouts. Since beginning this program of regular workouts, we clearly feel better and both of us have been very pleased with concurrent results in our medical histories.
-- These records of molecules were left in the article by mistake --
<<<
1.
{"formula": "C21H31NO6", "method": "ωB97M-V with the def2-TZVPD basis set", "lumo_energy_ev": 0.722, "orbital_gap_ev": 8.845, "charge": 0, "multiplicity": 1, "smiles": "CCOC(=O)C1CCN(C(=O)c2cc(OCC)c(OCC)c(OCC)c2)CC1", "species": ["C", "C", "O", "C", "O", "C", "C", "C", "N", "C", "O", "C", "C", "C", "O", "C", "C", "C", "O", "C", "C", "C", "O", "C", "C", "C", "C", "C", "H", "H", "H", "H", "H", "H", "H", "H", "H", "H", "H", "H", "H", "H", "H", "H", "H", "H", "H", "H", "H", "H", "H", "H", "H", "H", "H", "H", "H", "H", "H"], "xyz": [[1.65, -5.92, -4.91], [0.89, -5.95, -3.60], [1.15, -4.73, -2.90], [0.51, -4.56, -1.74], [-0.27, -5.35, -1.28], [0.93, -3.26, -1.08], [-0.20, -2.71, -0.20], [0.38, -1.95, 1.01], [1.62, -1.30, 0.64], [1.71, -0.02, 0.20], [2.70, 0.40, -0.38], [0.56, 0.88, 0.51], [0.19, 1.14, 1.83], [-0.83, 2.05, 2.09], [-1.25, 2.40, 3.33], [-0.66, 1.78, 4.45], [-1.34, 2.34, 5.69], [-1.49, 2.70, 1.03], [-2.52, 3.53, 1.39], [-2.59, 4.82, 0.81], [-1.32, 5.63, 1.03], [-1.11, 2.43, -0.30], [-1.82, 3.05, -1.28], [-1.32, 3.06, -2.61], [-0.09, 3.94, -2.76], [-0.08, 1.53, -0.54], [2.70, -2.21, 0.34], [2.17, -3.53, -0.22], [1.33, -5.07, -5.52], [2.72, -5.82, -4.73], [1.47, -6.84, -5.46], [1.20, -6.79, -2.98], [-0.19, -6.03, -3.77], [1.21, -2.55, -1.86], [-0.81, -3.54, 0.15], [-0.83, -2.04, -0.78], [-0.34, -1.21, 1.36], [0.60, -2.64, 1.83], [0.72, 0.66, 2.63], [-0.80, 0.69, 4.41], [0.42, 2.00, 4.48], [-2.41, 2.14, 5.65], [-1.20, 3.42, 5.74], [-0.93, 1.89, 6.58], [-2.82, 4.75, -0.26], [-3.44, 5.28, 1.32], [-1.09, 5.67, 2.09], [-0.49, 5.18, 0.51], [-1.47, 6.64, 0.66], [-1.13, 2.04, -2.96], [-2.15, 3.47, -3.19], [-0.31, 4.95, -2.44], [0.21, 3.96, -3.81], [0.74, 3.56, -2.17], [0.25, 1.31, -1.54], [3.35, -1.71, -0.38], [3.28, -2.40, 1.25], [1.90, -4.22, 0.58], [2.95, -4.01, -0.83]]}

2.
{"formula": "C4H16N6", "method": "ωB97M-V with the def2-TZVPD basis set", "lumo_energy_ev": -6.252, "orbital_gap_ev": 11.214, "charge": 2, "multiplicity": 1, "species": ["C", "C", "N", "N", "N", "H", "H", "H", "H", "H", "H", "H", "H", "C", "C", "N", "N", "N", "H", "H", "H", "H", "H", "H", "H", "H"], "xyz": [[-1.71, -1.96, -0.58], [-1.23, -0.71, 1.78], [-1.47, -0.65, 0.41], [-0.66, -1.78, 2.28], [-1.51, 0.46, 2.41], [-2.21, 0.00, 0.05], [-0.33, -2.66, 1.88], [-0.13, -1.80, 3.13], [-1.70, 1.39, 1.89], [-1.44, 0.61, 3.51], [-2.70, -2.01, -0.67], [-1.14, -2.73, -0.06], [-1.06, -1.95, -1.43], [2.36, 0.81, 0.29], [1.08, 0.98, -1.71], [1.71, 0.16, -0.78], [0.76, 2.29, -1.34], [0.57, 0.36, -2.77], [2.39, -0.47, -1.28], [1.34, 2.75, -0.73], [0.10, 2.81, -1.83], [0.62, -0.65, -3.18], [-0.01, 0.95, -3.51], [1.65, 1.28, 1.00], [2.89, 1.68, 0.09], [2.97, 0.25, 1.01]]}

3.
>>>
We have been Loudoun County homeowners for more than 30 years, and we both agree that no business in Loudoun has done more for us, physically and mentally, than Ferraiolo Fitness.